== Wanted ==
Filter the calculation results below: keep the lines with the word "cluster".

== Contents ==
┌──
(1)
Density functional theory data (ωB97M-V/def2-TZVPD) for the molecule C27H26N6O4 at a distorted geometry.

Geometry as ORCA input:
```
! wB97M-V def2-TZVPD RIJCOSX def2/J DEFGRID3
* xyz 0 1
C -3.121 -2.026 -0.517
C -2.723 -1.807 -1.944
C -3.269 -2.582 -2.943
C -2.883 -2.430 -4.272
C -1.940 -1.498 -4.646
C -1.380 -0.690 -3.642
N -0.449 0.260 -3.958
C 0.232 1.055 -3.077
O 1.069 1.849 -3.481
C -0.139 0.874 -1.676
C -1.106 -0.007 -1.332
C -1.762 -0.835 -2.293
H -1.363 -0.122 -0.289
C 0.628 1.701 -0.687
N 1.729 0.964 -0.055
C 2.479 0.171 -1.025
C 1.756 -1.094 -1.309
N 1.457 -1.609 -2.480
N 0.811 -2.743 -2.241
N 0.705 -2.961 -1.000
N 1.296 -1.948 -0.358
C 1.429 -1.901 1.078
C 0.120 -1.728 1.775
C -0.580 -0.606 2.113
C -1.746 -1.057 2.776
C -1.666 -2.415 2.791
O -0.541 -2.829 2.188
H -2.318 -3.169 3.184
H -2.530 -0.453 3.184
H -0.286 0.406 1.926
H 2.081 -1.060 1.314
H 1.876 -2.848 1.401
H 3.455 -0.082 -0.597
H 2.649 0.698 -1.974
C 2.588 1.885 0.687
C 1.866 2.431 1.891
C 1.290 3.692 1.866
C 0.586 4.206 2.953
C 0.481 3.407 4.064
C 1.063 2.139 4.103
C 1.760 1.632 3.035
H 2.207 0.654 3.084
O 0.817 1.562 5.320
C 0.059 2.504 6.048
O -0.146 3.655 5.256
H -0.914 2.064 6.318
H 0.599 2.782 6.967
H 0.142 5.187 2.926
H 1.388 4.299 0.979
H 2.931 2.715 0.047
H 3.466 1.328 1.025
H 1.020 2.576 -1.231
H -0.032 2.047 0.114
H -0.153 0.336 -4.923
C -1.508 -1.354 -6.074
H -0.441 -1.556 -6.171
H -1.708 -0.349 -6.447
H -2.045 -2.061 -6.700
H -3.327 -3.065 -5.024
H -4.004 -3.333 -2.693
H -3.418 -1.096 -0.036
H -3.951 -2.726 -0.461
H -2.284 -2.449 0.038
*
```

Properties
energy above the lowest of the compared OMol25 structures with the same formula, charge and spin: 1.979 eV
structure (SMILES): Cc1ccc(C)c2[nH]c(=O)c(CN(Cc3ccc4c(c3)OCO4)Cc3nnnn3Cc3ccco3)cc12
electronic energy: -45550.5883 eV
HOMO energy: -8.03 eV

(2)
Density functional theory data (ωB97M-V/def2-TZVPD) for a cluster of 2 separate species, C3H6ClNO2 in total at a distorted geometry.

Geometry as ORCA input:
```
! wB97M-V def2-TZVPD RIJCOSX def2/J DEFGRID3
* xyz 0 1
C -1.779 -1.266 -0.273
C 0.693 0.282 0.744
C 0.535 -1.002 -0.044
N -2.760 -0.898 -0.761
O -0.726 -1.671 0.259
O -0.971 1.754 -1.325
Cl -2.478 1.722 -1.791
H 1.703 0.655 0.602
H 0.003 1.033 0.358
H 0.520 0.115 1.803
H 1.288 -1.751 0.220
H 0.581 -0.785 -1.113
H -2.863 0.408 -1.344
*
```

Properties
energy above the lowest of the compared OMol25 structures with the same formula, charge and spin: 5.118 eV
electronic energy: -21311.0021 eV
HOMO energy: -8.71 eV

(3)
Density functional theory data (ωB97M-V/def2-TZVPD) for a cluster of 3 separate species, CH8O2S2 in total at a distorted geometry.

Geometry as ORCA input:
```
! wB97M-V def2-TZVPD RIJCOSX def2/J DEFGRID3
* xyz 0 1
C -0.431 2.508 1.854
S -0.939 2.223 0.160
S -2.591 3.493 0.252
H -0.513 3.617 2.061
H 0.655 2.497 1.960
H -0.738 2.127 2.839
H -3.412 2.506 -0.189
H 0.320 -4.582 -2.680
H 0.928 -3.866 -1.585
O 1.151 -4.519 -2.264
H 1.482 -2.547 -1.227
H 2.462 -1.480 -0.684
O 1.626 -1.977 -0.496
*
```

Properties
energy above the lowest of the compared OMol25 structures with the same formula, charge and spin: 1.431 eV
structure (SMILES): CSS.O.O
electronic energy: -26931.0835 eV
HOMO energy: -8.69 eV

(4)
Density functional theory data (ωB97M-V/def2-TZVPD) for the ion C27H25N2O6S with charge -1 at a distorted geometry.

Geometry as ORCA input:
```
! wB97M-V def2-TZVPD RIJCOSX def2/J DEFGRID3
* xyz -1 1
C 3.526 1.391 5.683
O 2.451 0.449 5.503
C 1.715 0.463 4.358
C 0.783 -0.588 4.223
C 0.229 -0.852 2.990
C 0.510 -0.043 1.877
C 0.156 -0.528 0.434
C 1.025 0.206 -0.583
C 0.515 1.149 -1.517
O -0.650 1.578 -1.526
N 1.409 1.598 -2.521
C 0.899 2.460 -3.561
C 2.804 1.502 -2.412
O 3.578 2.037 -3.202
N 3.256 0.746 -1.323
C 4.678 0.560 -1.231
C 2.428 -0.098 -0.550
O 2.935 -0.994 0.133
C 1.243 1.131 2.082
C 1.883 1.382 3.297
H 3.873 1.179 6.696
H 4.341 1.219 4.961
H 3.167 2.430 5.610
H 0.611 -1.226 5.081
H -0.425 -1.716 2.878
H 0.580 -1.554 0.378
H 1.749 2.744 -4.178
H 0.154 1.930 -4.166
└──

== Outcome ==
Density functional theory data (ωB97M-V/def2-TZVPD) for a cluster of 2 separate species, C3H6ClNO2 in total at a distorted geometry.
Density functional theory data (ωB97M-V/def2-TZVPD) for a cluster of 3 separate species, CH8O2S2 in total at a distorted geometry.